One of the things I love most about the east Texas and Louisiana waters where I do my guiding is the diversity. Even in the wintertime when we typically think about everything slowing down, there’s actually a lot going on if you take time to adapt throughout the day.
This time of year, you always hear people talk about creek channels, ditches, drains and that kind of stuff. In these places, we’re looking for bait — the shad, groceries. That’s a big part of seasonal fishing, but there’s more to the story.
**Quantum chemistry results, as found in the file:**
-- begin --
This record from the OMol25 dataset describes C9H13N2P in the gas phase at a distorted geometry. The level of theory is the ωB97M-V functional and the def2-TZVPD basis.

Calculated values
SMILES: CNC1=P(=C2C[C@H]2C)C=CC=N1
E_LUMO, hartree: -0.01403
Gap between HOMO and LUMO, eV: 7.2

```
! wB97M-V def2-TZVPD RIJCOSX def2/J DEFGRID3
* xyz 0 1
H -1.4530 0.7396 2.6795
H -2.3739 4.2306 0.6464
H 1.0722 0.6165 0.5226
C -1.0920 1.5266 1.9266
H -0.6076 3.8308 0.7176
C -1.5646 3.6689 0.2852
H -1.5013 3.6523 -0.8310
H 1.4291 -3.9805 -2.0147
C 0.7600 -3.1627 -1.4874
N 1.6697 -0.2461 0.1797
H -2.5290 -2.7364 -0.6496
H -1.2095 -4.1511 -2.0388
C -1.7817 2.1528 0.7725
C -1.4677 -2.4862 -0.6646
H 3.6450 0.2337 0.6430
H -2.7743 1.7044 0.6868
C 3.0809 -0.2777 -0.1400
C 0.8511 -1.1089 -0.4667
C -0.5735 1.2069 0.5645
C -0.6165 -3.2991 -1.4448
N 1.4541 -2.1860 -0.9349
H -0.2980 2.1166 2.4605
H 3.2904 0.1962 -1.0603
P -0.8417 -0.8606 -0.0742
H 3.4317 -1.3808 -0.2777
*
```

=====

This record from the OMol25 dataset describes a molecular structure, C9H13N2S2 at a distorted geometry. The level of theory is the ωB97M-V functional and the def2-TZVPD basis.

Calculated values
E_LUMO, hartree: -0.13961
Gap between HOMO and LUMO, eV: 7.7

```
! wB97M-V def2-TZVPD RIJCOSX def2/J DEFGRID3
* xyz 1 1
C 1.1422 -0.8673 1.2108
H 0.6132 -1.8070 1.2680
H 1.2239 2.0735 0.3047
S -0.6791 -1.9390 -3.1584
C -1.0022 -1.3833 -1.5075
C -2.6339 -0.3896 -2.8544
C -0.4207 0.2233 -0.4812
H 3.0864 1.1244 1.3152
C 1.9564 -0.2244 2.3908
C 2.2102 1.1968 1.9166
N -2.1242 -0.6188 -1.5191
H -2.1706 -0.9717 -4.9838
H 2.9468 -0.8701 2.6330
N 0.2432 0.3179 0.8928
H 2.4589 1.8850 2.7909
H 1.8141 -0.7640 0.3063
H 0.2218 0.6980 -1.2271
H -0.8359 -2.1725 -0.8053
C -1.8062 0.3637 -0.4800
H -0.6539 0.4890 1.5052
S -2.6173 1.0826 0.7516
H -3.6173 0.0459 -2.9920
C -1.9605 -0.9941 -3.8728
H 0.3927 2.1442 2.0196
C 0.9299 1.6007 1.2429
H 1.2822 -0.2431 3.3332
*
```

=====

This record from the OMol25 dataset describes a gas-phase ion, C9H13N3 (charge +2) at a distorted geometry. The level of theory is the ωB97M-V functional and the def2-TZVPD basis.

Calculated values
SMILES: C1=[N+]2CCC=[N+]3[C@@H]4[C@H]2CCN1[C@@H]43
E_LUMO, hartree: -0.36340
Gap between HOMO and LUMO, eV: 8.6

```
! wB97M-V def2-TZVPD RIJCOSX def2/J DEFGRID3
* xyz 2 1
C 2.3979 -0.4090 -0.4953
H 0.2644 1.2228 -2.0537
H -0.1514 -1.9821 1.7151
N -0.0326 1.0346 -0.0705
H -2.2404 -0.3918 -1.9183
C -0.1728 -1.3937 0.7951
C 0.4015 0.6365 -1.1944
H 2.2154 -0.5873 1.7990
H 2.4010 0.9966 0.9328
H 0.0900 0.3949 1.9723
H 2.8934 -1.3009 -0.3837
N 1.1408 -0.5828 -1.2728
C 0.3900 -1.6438 -0.6265
N -0.9883 -1.3138 -0.3425
C -1.8712 -0.4594 -0.7827
H -1.7355 2.3284 -0.5109
C -2.4384 0.5333 0.2206
C 0.3977 0.0941 1.0725
H 0.7187 -2.6851 -1.0795
H -3.3835 1.0854 -0.1703
H -2.4180 0.2142 1.1764
H -1.4673 2.1634 1.0712
C -1.3245 1.7027 0.1806
H 2.9588 0.2734 -0.9561
C 1.9544 0.0693 0.9214
*
```

=====
-- stop --
What’s really neat this time of year is what happens on the larger reservoirs like Toledo Bend and Sam Rayburn. You have deep fish and shallow fish, but you can develop similar patterns for both.
For shallow fish, you’re looking for those ditches and drains that have some scattered grass and stumps. Then you want to determine which ones have bait. Maybe the wind’s blowing a certain way, and it will push the bait into those shallow areas. That’s where you see people ripping lipless baits and throwing squarebills.
For deeper fish, your electronics play a key role. Your mapping system will show you the drains, ditches and creek channels, and if you put in enough idling time, you’ll find the bait.
You’ll typically find those groceries on a hard spot, a turn or a point — always something different. You’re not going to get in a creek, go down a perfectly straight section of it and locate them. It’s going to be something where the fish can ambush bait.
Just recently, I started my day on a shallow drain and caught fish on a jerkbait. It was a warmer day, and the fish were actually schooling in the morning, but it was a little too cold for a topwater. I went with the jerkbait and caught fish for the first hour or two.
Once that little feeding window closed on those shallower fish, I spent the rest of my day out deep. I focused on graphing, using my forward-facing sonar and throwing things like an Alabama rig, a single swimbait and a tail spinner I designed for V&M Baits called the Lil Hammer.
I like that small swimbait on post-front, bluebird days when the fish are not aggressive — or when they get focused on smaller baitfish. That A-Rig comes into play on nasty, windy days, or if I’m around bigger fish.
I’ll use the 1-ounce Lil Hammer when the fish are near the bottom and especially if I find a group of them — maybe on an underwater point or the back of drain. I especially like that tail spinner because we have a lot of white bass mixing with the largemouth this time of year. That bait is a good way to quickly identify what fish you’re seeing on electronics.
What’s interesting about these reservoirs is that there are multiple patterns you could get on in a single day. You may start on the shallow bite, but if that tapers off, your day isn’t over. You just keep searching until you find the next pattern.
It’s all about being able to adjust. When one pattern tapers off, transition with the fish. Remember, they’re always biting something somewhere.